(File)
____________
[1]
{
  "formula": "Ga2PAu",
  "functional": "PBE",
  "state": "optimized geometry",
  "m_tot_mub_per_atom": 0.0000,
  "crystal_system": "tetragonal",
  "e_form_ev_per_atom": -0.09,
  "lattice_angstrom": [[-3.352, -1.827, 4.822], [0.313, -5.813, -1.985], [2.434, -4.462, 3.923]],
  "species": ["P", "P", "Au", "Au", "Ga", "Ga", "Ga", "Ga"],
  "fractional_positions": [[0.500, 0.500, 0.000], [0.250, 0.750, 0.500], [0.000, 0.000, 0.000], [0.750, 0.250, 0.500], [0.601, 0.125, 0.250], [0.149, 0.625, 0.250], [0.375, 0.399, 0.750], [0.875, 0.851, 0.750]]
}

---

[2]
{
  "formula": "Cs2KRb",
  "functional": "PBE",
  "state": "optimized geometry",
  "m_tot_mub_per_atom": 0.0000,
  "crystal_system": "cubic",
  "e_form_ev_per_atom": 0.00,
  "de_polymorph_kj_per_mol_fu": 1,
  "lattice_angstrom": [[-1.124, -7.528, -3.002], [-5.739, -1.324, -5.680], [2.181, -1.701, -7.701]],
  "species": ["Cs", "Cs", "K", "Rb"],
  "fractional_positions": [[0.250, 0.250, 0.250], [0.750, 0.750, 0.750], [0.000, 0.000, 0.000], [0.500, 0.500, 0.500]]
}

---

[3]
{
  "formula": "K2TcAu",
  "functional": "PBE",
  "state": "optimized geometry",
  "m_tot_mub_per_atom": 0.7534,
  "crystal_system": "orthorhombic",
  "e_form_ev_per_atom": 0.94,
  "de_polymorph_kj_per_mol_fu": 124,
  "lattice_angstrom": [[6.042, 0.003, 0.000], [-3.034, 5.224, 0.000], [0.000, 0.000, 3.369]],
  "species": ["Au", "K", "K", "Tc"],
  "fractional_positions": [[0.000, 0.500, 0.500], [0.000, 0.000, 0.000], [0.500, 0.500, 0.000], [0.500, 0.000, 0.500]]
}

---

[4]
{
  "formula": "V2Bi2Br",
  "functional": "PBE",
  "state": "optimized geometry",
  "m_tot_mub_per_atom": 0.0000,
  "e_form_raw_ev_per_atom": 0.3217,
  "crystal_system": "tetragonal",
  "de_polymorph_kj_per_mol_fu": 0,
  "lattice_angstrom": [[-1.632, 6.860, 3.593], [-2.896, -3.946, 6.219], [3.360, -0.015, 1.555]],
  "species": ["Bi", "Bi", "Bi", "Bi", "Br", "Br", "V", "V", "V", "V"],
  "fractional_positions": [[0.162, 0.662, 0.500], [0.662, 0.838, 0.500], [0.838, 0.338, 0.500], [0.338, 0.162, 0.500], [0.000, 0.000, 0.000], [0.500, 0.500, 0.000], [0.395, 0.895, 0.000], [0.895, 0.605, 0.000], [0.605, 0.105, 0.000], [0.105, 0.395, 0.000]]
}

---

[5]
{
  "formula": "Rb2InGa3Sn4",
  "functional": "PBE",
  "state": "optimized geometry",
  "m_tot_mub_per_atom": 0.0000,
  "crystal_system": "tetragonal",
  "e_form_ev_per_atom": -0.15,
  "lattice_angstrom": [[5.086, 0.000, 0.000], [0.000, 5.086, 0.000], [0.000, 0.000, 11.433]],
  "species": ["Rb", "Rb", "In", "Ga", "Ga", "Ga", "Sn", "Sn", "Sn", "Sn"],
  "fractional_positions": [[0.500, 0.000, 0.250], [0.000, 0.500, 0.750], [0.500, 0.500, 0.500], [0.000, 0.000, 0.500], [0.500, 0.000, 0.877], [0.000, 0.500, 0.123], [0.500, 0.500, 0.000], [0.000, 0.000, 0.000], [0.500, 0.000, 0.634], [0.000, 0.500, 0.366]]
}

---

[6]
{
  "formula": "NbZnIr2Ru",
  "functional": "PBE",
  "state": "optimized geometry",
  "m_tot_mub_per_atom": 0.0000,
  "crystal_system": "tetragonal",
  "e_form_ev_per_atom": 1.44,
  "lattice_angstrom": [[-1.543, 3.333, 2.459], [-0.220, -2.792, 3.646], [4.137, 1.106, 1.096]],
  "species": ["Ru", "Nb", "Ir", "Ir", "Zn"],
  "fractional_positions": [[0.500, 0.500, 0.500], [0.000, 0.500, 0.000], [0.000, 0.000, 0.500], [0.500, 0.000, 0.000], [0.000, 0.000, 0.000]]
}

---

[7]
{
  "formula": "La7NdMg2",
  "functional": "PBE",
  "state": "optimized geometry",
  "m_tot_mub_per_atom": 0.0000,
  "crystal_system": "triclinic",
  "e_form_ev_per_atom": 0.02,
  "de_polymorph_kj_per_mol_fu": 0,
  "lattice_angstrom": [[3.611, 0.091, 0.337], [0.033, 12.115, -3.146], [0.940, -1.547, 8.356]],
  "species": ["La", "La", "La", "La", "La", "La", "La", "Nd", "Mg", "Mg"],
  "fractional_positions": [[0.159, 0.597, 0.198], [0.841, 0.403, 0.802], [0.504, 0.175, 0.413], [0.496, 0.825, 0.587], [0.233, 0.287, 0.093], [0.767, 0.713, 0.907], [0.500, 0.500, 0.500], [0.000, 0.000, 0.000], [0.127, 0.904, 0.297], [0.873, 0.096, 0.703]]
}

---

[8]
{
  "formula": "ErLuCdPd",
  "functional": "PBE",
____________

(Brief)
It remains to echo the rows above unchanged.

(Written answer)
[1]
{
  "formula": "Ga2PAu",
  "functional": "PBE",
  "state": "optimized geometry",
  "m_tot_mub_per_atom": 0.0000,
  "crystal_system": "tetragonal",
  "e_form_ev_per_atom": -0.09,
  "lattice_angstrom": [[-3.352, -1.827, 4.822], [0.313, -5.813, -1.985], [2.434, -4.462, 3.923]],
  "species": ["P", "P", "Au", "Au", "Ga", "Ga", "Ga", "Ga"],
  "fractional_positions": [[0.500, 0.500, 0.000], [0.250, 0.750, 0.500], [0.000, 0.000, 0.000], [0.750, 0.250, 0.500], [0.601, 0.125, 0.250], [0.149, 0.625, 0.250], [0.375, 0.399, 0.750], [0.875, 0.851, 0.750]]
}

---

[2]
{
  "formula": "Cs2KRb",
  "functional": "PBE",
  "state": "optimized geometry",
  "m_tot_mub_per_atom": 0.0000,
  "crystal_system": "cubic",
  "e_form_ev_per_atom": 0.00,
  "de_polymorph_kj_per_mol_fu": 1,
  "lattice_angstrom": [[-1.124, -7.528, -3.002], [-5.739, -1.324, -5.680], [2.181, -1.701, -7.701]],
  "species": ["Cs", "Cs", "K", "Rb"],
  "fractional_positions": [[0.250, 0.250, 0.250], [0.750, 0.750, 0.750], [0.000, 0.000, 0.000], [0.500, 0.500, 0.500]]
}

---

[3]
{
  "formula": "K2TcAu",
  "functional": "PBE",
  "state": "optimized geometry",
  "m_tot_mub_per_atom": 0.7534,
  "crystal_system": "orthorhombic",
  "e_form_ev_per_atom": 0.94,
  "de_polymorph_kj_per_mol_fu": 124,
  "lattice_angstrom": [[6.042, 0.003, 0.000], [-3.034, 5.224, 0.000], [0.000, 0.000, 3.369]],
  "species": ["Au", "K", "K", "Tc"],
  "fractional_positions": [[0.000, 0.500, 0.500], [0.000, 0.000, 0.000], [0.500, 0.500, 0.000], [0.500, 0.000, 0.500]]
}

---

[4]
{
  "formula": "V2Bi2Br",
  "functional": "PBE",
  "state": "optimized geometry",
  "m_tot_mub_per_atom": 0.0000,
  "e_form_raw_ev_per_atom": 0.3217,
  "crystal_system": "tetragonal",
  "de_polymorph_kj_per_mol_fu": 0,
  "lattice_angstrom": [[-1.632, 6.860, 3.593], [-2.896, -3.946, 6.219], [3.360, -0.015, 1.555]],
  "species": ["Bi", "Bi", "Bi", "Bi", "Br", "Br", "V", "V", "V", "V"],
  "fractional_positions": [[0.162, 0.662, 0.500], [0.662, 0.838, 0.500], [0.838, 0.338, 0.500], [0.338, 0.162, 0.500], [0.000, 0.000, 0.000], [0.500, 0.500, 0.000], [0.395, 0.895, 0.000], [0.895, 0.605, 0.000], [0.605, 0.105, 0.000], [0.105, 0.395, 0.000]]
}

---

[5]
{
  "formula": "Rb2InGa3Sn4",
  "functional": "PBE",
  "state": "optimized geometry",
  "m_tot_mub_per_atom": 0.0000,
  "crystal_system": "tetragonal",
  "e_form_ev_per_atom": -0.15,
  "lattice_angstrom": [[5.086, 0.000, 0.000], [0.000, 5.086, 0.000], [0.000, 0.000, 11.433]],
  "species": ["Rb", "Rb", "In", "Ga", "Ga", "Ga", "Sn", "Sn", "Sn", "Sn"],
  "fractional_positions": [[0.500, 0.000, 0.250], [0.000, 0.500, 0.750], [0.500, 0.500, 0.500], [0.000, 0.000, 0.500], [0.500, 0.000, 0.877], [0.000, 0.500, 0.123], [0.500, 0.500, 0.000], [0.000, 0.000, 0.000], [0.500, 0.000, 0.634], [0.000, 0.500, 0.366]]
}

---

[6]
{
  "formula": "NbZnIr2Ru",
  "functional": "PBE",
  "state": "optimized geometry",
  "m_tot_mub_per_atom": 0.0000,
  "crystal_system": "tetragonal",
  "e_form_ev_per_atom": 1.44,
  "lattice_angstrom": [[-1.543, 3.333, 2.459], [-0.220, -2.792, 3.646], [4.137, 1.106, 1.096]],
  "species": ["Ru", "Nb", "Ir", "Ir", "Zn"],
  "fractional_positions": [[0.500, 0.500, 0.500], [0.000, 0.500, 0.000], [0.000, 0.000, 0.500], [0.500, 0.000, 0.000], [0.000, 0.000, 0.000]]
}

---

[7]
{
  "formula": "La7NdMg2",
  "functional": "PBE",
  "state": "optimized geometry",
  "m_tot_mub_per_atom": 0.0000,
  "crystal_system": "triclinic",
  "e_form_ev_per_atom": 0.02,
  "de_polymorph_kj_per_mol_fu": 0,
  "lattice_angstrom": [[3.611, 0.091, 0.337], [0.033, 12.115, -3.146], [0.940, -1.547, 8.356]],
  "species": ["La", "La", "La", "La", "La", "La", "La", "Nd", "Mg", "Mg"],
  "fractional_positions": [[0.159, 0.597, 0.198], [0.841, 0.403, 0.802], [0.504, 0.175, 0.413], [0.496, 0.825, 0.587], [0.233, 0.287, 0.093], [0.767, 0.713, 0.907], [0.500, 0.500, 0.500], [0.000, 0.000, 0.000], [0.127, 0.904, 0.297], [0.873, 0.096, 0.703]]
}

---

[8]
{
  "formula": "ErLuCdPd",
  "functional": "PBE",